22 Apr Dangers of Round-up
Why is Round-Up such a big deal?
Organic – Producing food without the use of chemically formulated fertilizers, growth stimulants, antibiotics, or pesticides
Conventional – Farming foods with chemical fertilizers, GMOs, pesticides, herbicides.
The debate between eating organically and conventionally is big. I started this article with the definitions of these words to make sure that we truly understand what organic means and what conventional means. While there are many chemicals that are used in conventional farming, I’m just going to be covering one. Round-Up. AKA glyphosate. AKA Monsanto’s creation and money-maker.
When you start shopping for healthy foods, you’ll get the question that pops in your head “is this organic or conventional?”
People are starting to realize that glyphosate isn’t as ‘safe’ as it’s made out to be by big agriculture companies. Some questions I get from my clients are “Why is Round-Up bad? What am I at risk for when I eat conventional foods sprayed with Round-Up?” I wanted to cover that for you today, so you can feel educated about your decision on eating better quality foods. Quality is everything.
First off, what is Round-Up? Round-Up is one of the most popular herbicides on the market. It’s helps stop the growth of weeds in food crops. It sounds like it’s helpful and much needed to grow food, but it’s not. I always love looking back at our ancestors and how they grew food. They didn’t use chemical-made herbicides and pesticides. Did you know that all food used to be organic? There was no such thing as organic versus conventional. It was simply organic.
Where Is Round-Up Used?
Round-Up is used a lot in staple crops like wheat, sugar, corn, soy, other produce, backyards in residential areas, etc. Most foods that are fed to animals have Round-Up on it, so our animals are ingesting it too. The saying is true – “We are what our animals eat.” A study tested fish that was exposed to Round-Up and between the fish that were exposed to Round-Up and the control group, there were many changes metabolically in the fish that were exposed. This isn’t natural.
Is It Safe?
Want the short answer? It’s NO.
It has been linked to many different diseases and it’s very toxic to our bodies and the environment. (Which is why you see people that spray Round-Up on farms wear a body suit) A study that was published in Entropy states that Round-Up inhibits an enzyme in humans called P450. Cytochrome P450 is used in our bodies to help metabolize toxic compounds, help synthesize hormones, and more. So, we need healthy function of this enzyme. The study showed that the interference with this enzyme actually disrupted the gut bacteria as well. (Remember, a healthy gut = healthy human. So making any type of bad disruptions within the gut is a bad thing and can lead to chronic diseases.)
Misplaced materials data:
<<<
[1]
Material: SiMoCl2
Method: DFT, PBE-GGA
State: optimized geometry

## Properties
- E (eV per atom) = -4.23
- polymorph energy (0 for the lowest one) (meV per atom) = 1099
- E_form (uncorrected) (eV per atom) = 0.761
- DOS(E_F) (states/eV/atom) = 1.00

Geometry as extended XYZ:
```
4
Lattice="0.000 3.189 3.189 3.189 0.000 3.189 3.189 3.189 0.000" Properties=species:S:1:pos:R:3 pbc="T T T"
Si 0.000 0.000 0.000
Mo 3.189 3.189 3.189
Cl 1.594 1.594 1.594
Cl 4.783 4.783 4.783
```


[2]
Material: PrDy3Ho6Er2
Method: DFT, PBE-GGA
State: optimized geometry

## Properties
- formation energy from the elements (meV/atom) = 19
- E (eV per atom) = -4.58
- DOS(E_F) (states/eV/atom) = 1.27

Geometry as extended XYZ:
```
12
Lattice="3.066 -5.305 0.000 3.066 5.305 0.000 -2.033 0.000 11.558" Properties=species:S:1:pos:R:3 pbc="T T T"
Pr 0.000 0.000 0.000
Dy 2.049 3.533 5.779
Dy 2.049 0.000 5.779
Dy 2.049 -3.533 5.779
Ho 1.032 1.773 2.903
Ho 0.011 0.000 8.657
Ho 1.032 -1.773 2.903
Ho 3.067 1.773 8.655
Ho 4.088 0.000 2.901
Ho 3.067 -1.773 8.655
Er 3.066 1.768 0.000
Er 3.066 -1.768 0.000
```


[3]
Material: Al5FeOs4
Method: DFT, PBE-GGA
State: optimized geometry

## Properties
- formation energy from the elements (meV/atom) = -360
- E (eV per atom) = -7.57
- DOS(E_F) (states/eV/atom) = 1.03

Geometry as extended XYZ:
```
10
Lattice="3.010 0.000 0.000 0.000 3.010 0.000 0.000 0.000 14.845" Properties=species:S:1:pos:R:3 pbc="T T T"
Al 0.000 0.000 0.000
Al 0.000 0.000 3.026
Al 0.000 0.000 6.023
Al 0.000 0.000 8.822
Al 0.000 0.000 11.819
Fe 1.505 1.505 7.422
Os 1.505 1.505 1.507
Os 1.505 1.505 4.552
Os 1.505 1.505 10.293
Os 1.505 1.505 13.338
```


[4]
Material: PrHoV
Method: DFT, PBE-GGA
State: optimized geometry

## Properties
- formation energy from the elements (meV/atom) = 417
- E (eV per atom) = -5.74
- DOS(E_F) (states/eV/atom) = 1.49

Geometry as extended XYZ:
```
6
Lattice="3.396 -2.829 0.000 3.396 2.829 0.000 -2.873 0.000 8.533" Properties=species:S:1:pos:R:3 pbc="T T T"
Pr -0.012 0.000 1.668
Pr 3.932 0.000 6.865
Ho 0.454 0.000 5.310
Ho 3.467 0.000 3.223
V 2.439 0.000 0.009
V 1.481 0.000 8.524
```


[5]
Material: Pm6Nd3Sm2Sc
Method: DFT, PBE-GGA
State: optimized geometry

## Properties
- formation energy from the elements (meV/atom) = 27
- E (eV per atom) = -4.85
- DOS(E_F) (states/eV/atom) = 1.48

Geometry as extended XYZ:
```
12
Lattice="3.140 -5.440 0.000 3.140 5.440 0.000 -2.100 0.000 11.829" Properties=species:S:1:pos:R:3 pbc="T T T"
Pm 1.030 1.792 2.900
Pm -0.024 0.000 8.922
Pm 1.030 -1.792 2.900
Pm 3.151 1.792 8.929
Pm 4.205 0.000 2.907
Pm 3.151 -1.792 8.929
Nd 2.090 3.628 5.915
Nd 2.090 0.000 5.915
Nd 2.090 -3.628 5.915
Sm 3.140 1.812 0.000
Sm 3.140 -1.812 0.000
Sc 0.000 0.000 0.000
```


[6]
Material: VAg2SbBr
Method: DFT, PBE-GGA
State: optimized geometry

## Properties
- E (eV per atom) = -3.38
- E_form (uncorrected) (eV per atom) = 0.747
- DOS(E_F) (states/eV/atom) = 0.58

Geometry as extended XYZ:
```
5
>>>
The materials data stop here:
Another study in Pesticide Biochemistry & Physiology showed that glyphosate induced hemolysis (destruction of red blood cells). Another study in the International Journal of Toxicology researched that it’s not just the active ingredient, glyphosate, in Round-Up that causes problems. It’s the synergy of all the active and inactive ingredients in Round-Up that causes toxic problems in the human body. It can cause oxidation in the body, which means that it causes free radicals in the body that can damage cells, DNA, etc. Which will ultimately lead to chronic diseases.
It has also been associated with neurological diseases, such as Alzheimer’s and Parkinsons Disease. A study that was in the Journal of Toxicology reported that the exposure of Round-Up promoted oxidative stress, neural cell death, and glutamate increase. Extra glutamate has been shown to be toxic & ‘excite’ the neurons too much. This is commonly seen in patients that have Alzeheimer’s.
Round-Up can just mess with nutrient absorption in general. When I was in school, we covered about how Round-Up can block pathways that nutrients take to be used in the body. In a Europe Environmental Sciences Journal, there is a study that showed rats developed more tumors versus the control group. It also showed that the endocrine system (which controls our hormones) were disrupted. When our hormones are disrupted, we are asking for chronic diseases.
Another huge topic in the nutrition world that is linked to Round-Up is GMO’s – genetically modified organisms. GMO’s are made to become “Round-Up Ready”. This means that the crop is made of genetically modified seeds to grow and be resistant to Round-Up. Round-Up is then generously applied to these crops with so much more of it because the plants won’t be affected by use of massive amounts of Round-Up. More Round-Up = More Health Problems. Period. While there are many more studies that support the dangers of Round-Up, I’m sure you get the picture!
Buying Organic
When people ask me if buying organic is worth it, I always say YES! Your health is worth that extra dollar or two. You either pay now or pay later. If you are under a budget, you can always use the tip to buy things organic if you are eating the skin. If you aren’t eating the skin, like bananas, avocados, oranges, etc, then you can skip out on buying organic to save you a couple dollars. Don’t fall for the organic junk, even though those cookies aren’t dosed with pesticides, that doesn’t mean they are okay to eat.
Buy organic when you can, let’s kick Monsanto in the face by putting them out of business. It starts with US!
P.S. Soy + wheat are common in crops that are loaded with Round-Up, read about them!